Food Storage

== Misplaced records of molecules ==
<<<
DFT (the ωB97M-V functional and the def2-TZVPD basis) results for one molecule with the formula C5H7FS2 at a distorted geometry.

Calculated values
SMILES = C[C@@H](CF)C(=S)C=S
E_LUMO = -2.07 eV
Frontier orbital gap = 7.14 eV
Relative energy (zero: lowest compared OMol25 entry of this formula, charge and spin) = 21.7 kcal/mol

The geometry in ORCA input format:
```
! wB97M-V def2-TZVPD RIJCOSX def2/J DEFGRID3
* xyz 0 1
C -0.72 -0.27 1.42
C -0.16 -0.33 -0.04
C -1.29 -0.29 -1.04
F -2.23 -1.27 -0.78
C 0.83 0.80 -0.28
S 0.31 2.32 -0.37
C 2.29 0.44 -0.31
S 2.95 -1.04 -0.37
H -1.55 -0.96 1.52
H -1.16 0.76 1.70
H 0.11 -0.53 2.11
H 0.38 -1.24 -0.16
H -0.91 -0.44 -2.06
H -1.78 0.69 -1.05
H 2.94 1.35 -0.29
*
```

Population analysis type natural (NBO), resulting atomic charges in e: atom 1 (C): -0.60, atom 2 (C): -0.36, atom 3 (C): 0.07, atom 4 (F): -0.36, atom 5 (C): -0.14, atom 6 (S): 0.14, atom 7 (C): -0.34, atom 8 (S): 0.14, atom 9 (H): 0.23, atom 10 (H): 0.22, atom 11 (H): 0.22, atom 12 (H): 0.23, atom 13 (H): 0.16, atom 14 (H): 0.17, atom 15 (H): 0.22

***

DFT (the ωB97M-V functional and the def2-TZVPD basis) results for one molecule with the formula C5H7FS2 at a distorted geometry.

Calculated values
SMILES = CCSC(=S)/C=C/F
E_LUMO = -0.54 eV
Frontier orbital gap = 8.22 eV
Relative energy (zero: lowest compared OMol25 entry of this formula, charge and spin) = 69.6 kcal/mol

The geometry in ORCA input format:
```
! wB97M-V def2-TZVPD RIJCOSX def2/J DEFGRID3
* xyz 0 1
C -1.35 -2.18 1.70
C -0.99 -1.43 0.40
S -0.12 0.06 0.84
C 0.47 0.72 -0.75
S 0.20 0.10 -2.28
C 1.53 1.92 -0.48
C 1.59 2.75 -1.60
F 2.42 3.82 -1.46
H -2.52 -2.71 1.47
H -0.61 -2.97 2.29
H -1.70 -1.38 2.56
H -0.33 -2.08 -0.26
H -1.85 -1.31 -0.31
H 2.13 1.95 0.56
H 1.13 2.74 -2.69
*
```

Population analysis type natural (NBO), resulting atomic charges in e: atom 1 (C): -0.65, atom 2 (C): -0.60, atom 3 (S): 0.33, atom 4 (C): -0.29, atom 5 (S): -0.04, atom 6 (C): -0.38, atom 7 (C): 0.28, atom 8 (F): -0.34, atom 9 (H): 0.23, atom 10 (H): 0.25, atom 11 (H): 0.22, atom 12 (H): 0.24, atom 13 (H): 0.25, atom 14 (H): 0.27, atom 15 (H): 0.24

***

DFT (the ωB97M-V functional and the def2-TZVPD basis) results for an isolated ion of composition C5H7IN and charge +1 at a distorted geometry.

Calculated values
<S²> = 2.1644
E_LUMO (spin up / spin down) = -6.30 / -7.27 eV
Frontier orbital gap (spin up / spin down) = 6.25 / 6.19 eV
Relative energy (zero: lowest compared OMol25 entry of this formula, charge and spin) = 65.2 kcal/mol

The geometry in ORCA input format:
```
! wB97M-V def2-TZVPD RIJCOSX def2/J DEFGRID3
* xyz 1 3
C -0.62 1.35 -0.45
C -1.60 -0.42 -0.94
C 0.70 -0.74 -0.13
C 0.08 2.35 0.33
C 0.58 -2.20 -0.01
N -0.36 0.06 -0.37
I -3.29 0.09 0.05
H 1.67 -0.34 -0.37
H 1.18 2.38 0.14
H 0.04 1.96 1.40
H -0.17 3.41 0.18
H 1.43 -2.64 0.61
H -0.37 -2.58 0.53
H 0.72 -2.69 -0.98
*
```
>>>
== The page goes on ==

Food storage

Proper storage of food products ensures the preservation of their nutritional and biological value, protects them from spoilage, and is also of great importance in the prevention of food poisoning of a bacterial nature.

The text is interrupted by calculated molecules =
-- begin --
This record from the OMol25 dataset describes a molecular structure, C36H53GeN8PdS3Si3. The level of theory is ωB97M-V with the def2-TZVPD basis set.

Computed properties:
HOMO-LUMO gap (spin up / spin down), Ha: 0.269 / 0.196
LUMO level (spin up / spin down), eV: -4.55 / -7.41
Spin multiplicity: 6
Total charge: +2
HOMO (spin up / spin down), hartree: -0.43569 / -0.46808

Geometry (Å):
Pd (0.17, -0.37, 0.15)
C (5.24, 0.27, 2.54)
N (3.80, 0.05, 2.59)
C (3.21, -0.26, 3.88)
C (3.05, -0.05, 1.46)
N (1.87, -0.57, 1.43)
N (3.66, 0.44, 0.32)
C (3.13, 0.55, -0.96)
N (3.94, 1.24, -1.80)
N (2.02, 0.01, -1.29)
H (5.66, -0.01, 3.50)
H (5.50, 1.32, 2.36)
H (5.72, -0.36, 1.78)
H (3.77, 0.25, 4.65)
H (3.22, -1.33, 4.09)
H (2.18, 0.11, 3.93)
H (1.57, -0.90, 2.34)
H (4.54, 0.90, 0.47)
H (4.72, 1.78, -1.46)
H (3.61, 1.46, -2.72)
H (1.79, 0.23, -2.26)
C (-1.70, 3.30, 1.77)
C (-2.48, 2.80, 2.80)
C (-2.45, 1.44, 3.09)
C (-1.66, 0.58, 2.33)
C (-0.92, 1.08, 1.25)
C (-0.93, 2.44, 1.00)
C (-1.50, -0.85, 2.68)
C (-2.06, -1.42, 3.85)
C (-1.75, -2.70, 4.18)
C (-0.87, -3.45, 3.37)
C (-0.48, -4.78, 3.68)
C (0.37, -5.45, 2.86)
C (0.88, -4.83, 1.70)
C (0.51, -3.55, 1.38)
C (-0.38, -2.84, 2.20)
N (-0.73, -1.56, 1.86)
H (-1.70, 4.36, 1.57)
H (-3.09, 3.46, 3.40)
H (-3.05, 1.08, 3.92)
H (-0.33, 2.85, 0.19)
H (-2.70, -0.83, 4.48)
H (-2.17, -3.15, 5.08)
H (-0.88, -5.24, 4.57)
H (0.67, -6.46, 3.10)
H (1.56, -5.37, 1.06)
H (0.89, -3.07, 0.49)
S (-2.59, 6.74, -3.56)
C (-2.24, 5.17, -3.32)
S (-0.72, 4.51, -2.78)
C (-1.39, 2.91, -2.71)
N (-2.68, 2.89, -3.12)
N (-3.11, 4.08, -3.45)
C (-4.48, 4.20, -3.88)
C (-5.45, 3.63, -3.07)
C (-6.77, 3.71, -3.48)
C (-7.10, 4.34, -4.67)
C (-6.11, 4.90, -5.46)
C (-4.78, 4.83, -5.07)
S (-0.56, 1.58, -2.17)
H (-5.18, 3.14, -2.14)
H (-7.55, 3.28, -2.86)
H (-8.13, 4.40, -4.98)
H (-6.36, 5.38, -6.39)
H (-4.00, 5.25, -5.69)
C (-4.01, -1.22, -0.44)
Si (-2.96, -2.65, -1.07)
C (-3.82, -3.59, -2.46)
C (-2.70, -3.91, 0.28)
Ge (-0.91, -1.68, -2.00)
Si (-1.80, -1.00, -4.39)
C (-2.00, -2.51, -5.46)
C (-0.69, 0.23, -5.26)
C (-3.43, -0.30, -3.82)
Si (0.77, -3.21, -3.04)
C (1.60, -2.49, -4.56)
C (-0.15, -4.80, -3.37)
C (2.11, -3.50, -1.75)
H (-4.47, -1.48, 0.51)
H (-4.82, -0.98, -1.13)
H (-3.42, -0.31, -0.29)
H (-4.64, -4.15, -2.01)
H (-3.14, -4.32, -2.91)
H (-4.24, -2.97, -3.25)
H (-3.64, -4.48, 0.30)
H (-2.58, -3.46, 1.26)
H (-1.89, -4.62, 0.12)
H (-1.05, -2.87, -5.85)
H (-2.58, -2.15, -6.32)
H (-2.56, -3.33, -5.02)
H (-0.30, -0.22, -6.17)
H (0.13, 0.62, -4.67)
H (-1.31, 1.08, -5.55)
H (-4.21, -1.07, -3.78)
H (-3.71, 0.44, -4.58)
H (-3.39, 0.22, -2.87)
H (0.96, -1.88, -5.18)
H (1.98, -3.31, -5.18)
H (2.46, -1.89, -4.26)
H (-0.95, -4.70, -4.10)
H (-0.57, -5.20, -2.45)
H (0.56, -5.54, -3.76)
H (2.27, -2.66, -1.08)
H (3.04, -3.66, -2.30)
H (1.90, -4.40, -1.17)
-- stop --
Here the text continues =

Microorganisms that cause these poisonings can multiply abundantly in products when stored indoors; at the same time, for some time, food products and ready-made dishes contaminated with microorganisms and their metabolic products (toxins) do not change their appearance and taste, thus giving the impression of being benign and quite suitable for consumption.

Measures to prevent the proliferation of microorganisms in food products are limited to storing them in the refrigerator, selling them within the recommended time frame and complying with sanitary and hygienic requirements for storage areas.

Cold prevents the vital activity of microorganisms, and rapid implementation reduces the possibility of abundant accumulation of microorganisms and their toxins. Of course, food poisoning does not always occur if the terms and other storage conditions are violated.

However, it must be remembered that a person who violates the conditions of proper storage exposes himself to great danger, since food poisoning, as a rule, is severe, fraught with serious complications, and sometimes ends in death.

Storage conditions and periods depend on the type of product and the method of its processing. In addition, storage conditions in the city in the absence of a refrigerator are less favorable than in rural areas, where residents can equip special premises (underfloors, glaciers, etc.) for long-term storage.

Storing ready meals. Many ready-made dishes (broths and first courses in meat, fish or mushroom broth, second courses of meat, poultry, fish, stewed vegetables, mushroom dishes, cold dishes - jellies, jellied meat and fish, vinaigrettes, salads, as well as confectionery with cream) are perishable products.

Meat, fish, mushroom strong broths, frozen decoctions of jellied dishes, vinaigrettes and salads seasoned with butter, sour cream or mayonnaise, creams are a good breeding ground for microorganisms that multiply in them very quickly. Therefore, after cooling, the listed dishes should be stored on the bottom or middle shelf of the refrigerator at a temperature of 4-6°C; After 4-6 hours of storing these dishes at room temperature, eating them is dangerous.

**Inserted here: quantum chemistry results**
'''
[1]
ORCA calculation (ωB97M-V/def2-TZVPD) on 8 unconnected molecules or ions with the total composition C37H89NO15.

* HOMO energy (spin up / spin down): -10.97 / -10.97 eV
* energy: -2645.7529 hartree
* HOMO-LUMO gap (spin up / spin down): 9.272 / 4.845 eV

ORCA input file:
```
! wB97M-V def2-TZVPD RIJCOSX def2/J DEFGRID3
* xyz 1 2
C 5.51 6.84 -31.49
O 6.36 7.99 -31.31
C 7.78 7.71 -30.92
C 8.42 9.16 -30.81
O 9.70 8.91 -30.29
C 10.45 10.08 -29.96
H 4.46 7.14 -31.52
H 5.62 6.15 -30.65
H 5.76 6.29 -32.39
H 8.32 7.20 -31.71
H 7.76 7.20 -29.95
H 7.78 9.75 -30.14
H 8.31 9.57 -31.81
H 11.35 9.70 -29.49
H 9.94 10.66 -29.18
H 10.69 10.73 -30.80
C 8.09 10.68 -23.08
O 7.77 11.80 -22.19
C 8.89 12.21 -21.49
C 8.45 12.90 -20.11
O 9.60 13.41 -19.37
C 9.27 14.05 -18.10
H 8.85 11.00 -23.79
H 7.18 10.45 -23.63
H 8.52 9.84 -22.54
H 9.39 12.88 -22.19
H 9.57 11.37 -21.36
H 7.75 12.40 -19.44
H 7.86 13.78 -20.35
H 8.52 13.49 -17.53
H 8.82 15.04 -18.13
H 10.23 14.17 -17.59
C 8.51 7.52 -26.27
O 8.09 8.79 -25.73
C 7.63 9.87 -26.61
C 6.31 9.47 -27.41
O 5.16 9.56 -26.59
C 4.99 8.48 -25.64
H 7.79 7.08 -26.96
H 8.60 6.83 -25.44
H 9.47 7.58 -26.78
H 8.40 10.08 -27.35
H 7.54 10.78 -26.01
H 6.30 8.53 -27.95
H 6.14 10.29 -28.12
H 5.78 8.36 -24.90
H 5.03 7.57 -26.24
H 4.01 8.54 -25.17
C 12.51 7.63 -26.62
O 12.70 8.76 -25.74
C 11.51 9.02 -24.94
C 11.85 10.15 -23.97
O 11.73 11.48 -24.57
C 12.51 11.74 -25.75
H 13.44 7.31 -27.09
H 11.77 7.84 -27.40
H 12.04 6.84 -26.04
H 11.10 8.19 -24.37
H 10.69 9.29 -25.60
H 12.91 10.06 -23.73
H 11.21 10.15 -23.10
H 12.66 12.80 -25.97
H 12.07 11.26 -26.62
H 13.54 11.40 -25.65
C 8.24 12.88 -30.03
O 8.28 12.36 -31.29
C 7.34 12.92 -32.14
C 5.90 12.46 -31.98
O 5.28 12.84 -30.76
C 4.29 12.01 -30.27
H 8.06 13.95 -30.03
H 9.20 12.70 -29.56
H 7.47 12.35 -29.46
H 7.70 12.56 -33.11
H 7.44 13.99 -32.35
H 5.97 11.39 -32.16
H 5.30 12.97 -32.73
H 3.89 12.49 -29.38
H 4.71 11.05 -29.95
H 3.47 11.89 -30.98
C 3.19 8.43 -21.93
O 1.99 7.87 -22.47
C 1.43 6.79 -21.78
C 0.15 6.44 -22.50
O -0.49 5.38 -21.84
C -1.68 4.91 -22.38
H 3.57 9.26 -22.54
H 4.09 7.81 -21.87
H 2.92 8.77 -20.93
H 1.02 7.25 -20.88
H 2.06 5.93 -21.56
H 0.36 5.96 -23.45
H -0.49 7.25 -22.85
H -2.46 5.67 -22.33
H -2.11 3.99 -21.97
H -1.77 4.69 -23.44
C 16.02 6.79 -29.45
O 14.93 6.40 -28.61
C 14.66 5.02 -28.53
C 13.49 4.63 -29.43
O 12.33 5.18 -28.75
C 11.44 5.85 -29.56
H 16.11 7.87 -29.54
H 15.97 6.32 -30.43
H 16.99 6.44 -29.08
H 14.44 4.62 -27.54
H 15.51 4.40 -28.83
H 13.37 3.55 -29.46
H 13.69 4.89 -30.47
H 11.83 6.77 -30.00
H 10.58 6.17 -28.97
H 11.03 5.15 -30.30
C 8.10 14.12 -24.78
C 6.59 14.41 -25.20
C 6.52 14.06 -26.75
C 5.07 13.96 -27.26
C 4.22 12.95 -26.45
C 4.33 13.16 -24.95
N 5.70 13.48 -24.51
O 5.81 13.51 -23.19
C 3.30 14.20 -24.56
C 3.85 11.73 -24.44
C 6.27 15.93 -24.98
H 8.45 13.11 -25.03
H 8.09 14.16 -23.69
H 8.82 14.85 -25.15
H 6.94 14.90 -27.30
H 7.11 13.21 -27.07
H 5.11 13.77 -28.34
H 4.57 14.90 -27.03
H 4.57 11.99 -26.85
H 3.17 13.00 -26.73
H 2.31 13.88 -24.89
H 3.33 14.28 -23.47
'''

It should be remembered that first and second courses can be stored in the refrigerator for no more than 72 hours. If dishes are prepared for future use, then before serving, you should not boil or heat in a frying pan the entire prepared dish, but only the part that will be sold. However, it must be taken into account that with each boiling and heating, vitamins are partially destroyed.

In this regard, preparing food for future use in large quantities is not recommended. Jellied dishes should be stored in the refrigerator for no more than 48 hours, jellies and mushroom main courses are recommended to be sold within 24 hours, pastries and pies (prepared at home or purchased in a store) with egg white whipped cream or fruit finishing can be stored in the refrigerator for no more than 72 hours, with butter cream - 36 hours, with custard - 6 hours.

When storing prepared food, it is necessary to strictly observe sanitary requirements: maintaining the cleanliness of the storage area, storing in clean containers and packaging, avoiding contact of prepared dishes and products eaten without additional processing (sausage, cheese, cottage cheese, etc.) with raw and semi-finished products, as well as contaminated products (vegetables, etc.).

Storage of meat, fish, meat and fish products. Of the meat and fish products, the most perishable are semi-finished products (with the exception of dumplings, which can be frozen) and offal (except for tongue, which can be stored like regular meat). There is no need to purchase semi-finished products for future use and they should be stored only in